_Listing_
89
Properties=species:S:1:pos:R:3:forces:R:3 method="wB97M-V/def2-TZVPD" total_energy_ev=-142990.149 orbital_gap_ev=7.199 e_homo_ev=-7.21 e_above_lowest_ev=0.160
H -3.1367 -4.3525 0.9798 -0.01 0.02 0.02
S -4.8214 0.4815 -1.0163 0.01 0.07 0.03
H 5.1336 -0.7871 0.6350 0.01 0.01 0.03
H 4.1468 -4.4719 1.2645 0.05 -0.02 0.04
H 2.4489 2.0178 -1.1760 -0.01 -0.01 -0.01
H 5.1932 3.3284 0.2067 0.00 0.01 0.02
N 2.7326 1.3341 0.7850 0.04 -0.02 -0.03
H 2.8505 -5.8774 -0.9981 -0.01 -0.03 0.00
C -0.6544 -2.9878 3.8238 0.04 -0.07 -0.02
S -2.7137 2.8232 -3.0075 0.03 0.01 0.10
H 5.5017 2.6078 1.7849 0.01 0.00 -0.01
H 4.2082 -3.3276 -1.5391 0.03 -0.02 -0.02
H 2.4250 0.2483 -0.9809 0.04 0.01 0.00
S -2.8891 2.8288 2.0746 -0.12 -0.13 0.08
C 2.9301 1.1731 -0.6705 -0.07 -0.02 0.03
S 0.0772 4.4400 -0.5205 -0.15 0.50 0.02
C 3.3877 2.5904 1.2017 -0.11 0.08 0.06
C -1.9994 5.1863 -1.7604 0.08 -0.14 0.18
H -2.1835 8.8656 -0.6536 0.01 0.00 0.02
H 4.7149 0.1917 -1.4890 0.00 0.01 0.01
H 3.6600 -1.7878 -0.8836 -0.02 0.01 0.04
H 0.4217 -2.9537 4.0071 0.01 0.00 0.01
C -0.4163 -3.2572 -3.0329 -0.03 0.07 -0.03
C -4.2198 1.6577 0.1436 0.05 -0.15 0.09
C -2.9457 -2.6418 -1.4908 0.13 -0.02 0.00
H -0.9732 -3.0729 -3.9560 0.02 -0.02 -0.04
C -3.8248 4.0222 1.2227 0.00 0.02 -0.04
H -1.1158 -3.5735 4.6220 -0.01 -0.01 0.05
Sb 0.2065 -2.2763 0.4898 -0.03 0.04 -0.12
H 2.8970 3.4139 0.6799 0.03 0.01 0.01
C -3.0726 7.3071 -1.8231 -0.01 -0.02 -0.02
C 3.3208 -2.7393 -1.2951 -0.05 0.02 -0.02
C -3.0252 5.9819 -2.2345 -0.05 0.01 -0.02
C -2.1139 7.8311 -0.9618 0.07 -0.02 0.03
H -3.4073 -2.0885 -0.6733 0.01 -0.05 0.03
H 2.7916 -2.5308 -2.2263 -0.01 0.01 -0.03
H -3.8756 7.9460 -2.1653 -0.02 -0.01 -0.02
C 3.2361 -3.9171 1.5035 -0.02 -0.02 -0.05
H -6.2234 -1.3686 -0.5472 0.01 0.02 0.00
H 4.7208 1.9450 -1.6627 0.00 -0.01 0.00
H -1.4240 -0.2001 -3.2120 -0.06 0.00 -0.01
O 1.3869 4.6823 -1.0701 0.04 -0.01 0.01
Si -1.0306 -3.7683 2.1633 -0.04 0.09 0.06
H -3.0578 -3.7180 -1.3343 -0.01 0.09 0.02
H -1.6525 0.2581 -1.5582 -0.03 0.06 -0.02
N -0.7079 3.2646 -1.2996 0.11 -0.23 -0.05
C 4.8790 0.1524 1.1312 0.02 -0.05 0.00
O 0.0844 4.1099 0.9085 0.12 -0.20 -0.16
S -4.7916 3.3051 -0.0078 0.01 0.03 -0.02
H 0.6684 -5.6181 2.3115 0.03 0.02 0.01
H -3.3352 -4.2987 2.7368 -0.03 -0.02 0.00
H -0.3279 7.4278 0.1897 -0.01 0.01 0.00
C -1.0291 -0.3623 -2.2077 0.10 -0.12 -0.04
H -1.0419 -1.9694 3.8806 -0.03 0.02 -0.05
C 3.3714 0.2043 1.4843 0.03 0.04 0.05
C -5.8249 -0.5647 0.0717 -0.01 0.09 -0.05
H -6.6464 0.0078 0.4967 -0.01 -0.02 0.00
S -3.7994 5.6234 1.5750 0.00 -0.04 0.01
Si -1.1520 -2.1642 -1.6982 0.02 -0.15 0.05
H 0.0068 -0.0009 -2.2331 -0.04 0.03 0.06
C -0.4053 -5.5357 2.1453 -0.05 0.00 0.00
H 1.3722 -5.2956 -1.7621 -0.05 0.01 -0.08
H -0.9103 -6.0731 2.9531 0.01 -0.04 0.01
H 3.2120 2.7231 2.2718 -0.01 -0.01 -0.03
S -2.5463 -0.0798 1.5970 -0.09 0.02 -0.03
C -1.0555 5.7251 -0.9013 0.00 -0.03 -0.06
H 2.6837 -4.4902 2.2495 -0.01 -0.01 0.01
N 5.2250 1.2495 0.2333 0.01 0.00 -0.06
C -1.0769 7.0377 -0.4860 0.01 0.11 -0.01
C -2.8761 -3.7951 1.8812 0.02 -0.04 -0.04
H -3.4631 -2.3702 -2.4150 -0.05 -0.02 -0.01
H 3.5312 -2.9722 1.9639 -0.03 0.03 -0.04
H -3.7700 5.5546 -2.8931 0.00 0.01 0.00
C 1.8955 -5.3770 -0.8119 0.05 0.00 0.05
H 0.6367 -3.0622 -3.2368 0.03 0.03 0.03
Ba -0.0907 1.3754 0.5495 -0.34 -0.14 0.19
H -0.6478 -6.0403 1.2086 -0.01 0.02 0.00
H 3.2168 0.3442 2.5571 -0.01 -0.01 -0.03
C 4.4450 1.1274 -0.9958 0.03 0.00 -0.04
H -3.2996 -2.7931 1.8100 0.03 0.01 -0.01
H -5.2052 -0.9830 0.8594 0.05 -0.05 0.07
H 1.3057 -6.0100 -0.1480 0.02 0.04 0.00
C 4.9006 2.5202 0.8783 0.04 0.06 0.00
Si 2.2485 -3.6896 -0.0807 0.02 -0.03 0.07
H 5.4970 0.2295 2.0272 0.00 0.00 -0.01
H -0.5286 -4.3127 -2.7837 0.00 -0.03 0.03
C -1.7705 3.7216 -2.0005 0.00 0.15 -0.21
H 2.8549 -0.7109 1.1937 -0.03 -0.03 0.00
C -3.3480 1.4016 1.1478 0.17 0.16 -0.07



88
_Assignment_
Duplicate only the lines earlier on with the word "method" in them.
_Outcome_
Properties=species:S:1:pos:R:3:forces:R:3 method="wB97M-V/def2-TZVPD" total_energy_ev=-142990.149 orbital_gap_ev=7.199 e_homo_ev=-7.21 e_above_lowest_ev=0.160